Entries:
┌──
Below is crystalline LaAs2Rh2 at its relaxed geometry, with properties calculated at the PBE level.

Lattice parameters (Å, degrees): 4.332 4.332 10.090 90.00 90.00 90.00
Element x y z (fractional)
1 Rh 0.500 0.500 0.000
2 Rh 0.500 0.000 0.380
3 Rh 0.000 0.000 0.000
4 Rh 0.000 0.500 0.620
5 La 0.000 0.500 0.254
6 La 0.500 0.000 0.746
7 As 0.000 0.500 0.863
8 As 0.500 0.500 0.500
9 As 0.500 0.000 0.137
10 As 0.000 0.000 0.500


Below is crystalline La2UAs3 at its relaxed geometry, with properties calculated at the PBE level.

Lattice parameters (Å, degrees): 7.439 7.439 7.439 146.73 131.98 59.67
Element x y z (fractional)
1 As 0.155 0.655 0.500
2 As 0.500 0.000 0.500
3 As 0.845 0.345 0.500
4 U 0.000 0.000 0.000
5 La 0.332 0.332 0.000
6 La 0.668 0.668 0.000

Properties
Size of the total moment   2.61 μB per formula unit


Below is crystalline La2ZnAs4 at its relaxed geometry, with properties calculated at the PBE level.

Lattice parameters (Å, degrees): 10.811 10.811 10.811 158.52 158.52 30.56
Element x y z (fractional)
1 Zn 0.250 0.750 0.500
2 As 0.499 0.999 0.500
3 As 0.324 0.324 0.000
4 As 0.001 0.501 0.500
5 As 0.676 0.676 0.000
6 La 0.879 0.879 0.000
7 La 0.121 0.121 0.000

Properties
Size of the total moment   0.00 μB per formula unit


Below is crystalline LaZn3As3 at its relaxed geometry, with properties calculated at the PBE level.

Lattice parameters (Å, degrees): 4.149 11.535 12.714 90.00 90.00 90.00
Element x y z (fractional)
1 As 0.750 0.240 0.152
2 As 0.250 0.384 0.921
3 As 0.250 0.740 0.348
4 As 0.250 0.567 0.640
5 As 0.250 0.933 0.140
6 As 0.250 0.116 0.421
7 As 0.750 0.884 0.579
8 As 0.250 0.760 0.848
9 As 0.750 0.067 0.860
10 As 0.750 0.616 0.079
11 As 0.750 0.433 0.360
12 As 0.750 0.260 0.652
13 Zn 0.250 0.344 0.728
14 Zn 0.250 0.156 0.228
15 Zn 0.750 0.265 0.954
16 Zn 0.250 0.765 0.546
17 Zn 0.250 0.962 0.935
18 Zn 0.750 0.656 0.272
19 Zn 0.250 0.735 0.046
20 Zn 0.750 0.235 0.454
21 Zn 0.250 0.538 0.435
22 Zn 0.750 0.462 0.565
23 Zn 0.750 0.844 0.772
24 Zn 0.750 0.038 0.065
25 La 0.250 0.446 0.165
26 La 0.750 0.946 0.335
27 La 0.750 0.554 0.835
28 La 0.250 0.054 0.665


Number 1: energy -6.7753 eV/atom. Number 2: energy -7.1186 eV/atom. Number 3: energy -5.1789 eV/atom. Number 4: energy -3.8270 eV/atom.

~~~~~

Record 1
The following is a GGA-PBE calculation of crystalline HfPbO3 at its relaxed geometry, from Materials Project.

Values from the calculation:
- Volume: 615.1 Å³ per cell
- Energy of formation from the pure elements: -2.72 eV/atom
- Crystal system: orthorhombic

Cell: 5.820 11.475 9.210 Å, 90.00 90.00 90.00°
Atoms (fractional coordinates):
1 Hf 0.246 0.123 0.217
2 Hf 0.246 0.123 0.783
3 Hf 0.254 0.623 0.217
4 Hf 0.254 0.623 0.783
5 Hf 0.746 0.377 0.217
6 Hf 0.746 0.377 0.783
7 Hf 0.754 0.877 0.217
8 Hf 0.754 0.877 0.783
9 Pb 0.243 0.364 0.000
10 Pb 0.250 0.391 0.500
11 Pb 0.250 0.891 0.500
12 Pb 0.257 0.864 0.000
13 Pb 0.743 0.136 0.000
14 Pb 0.750 0.109 0.500
15 Pb 0.750 0.609 0.500
16 Pb 0.757 0.636 0.000
17 O 0.000 0.000 0.266
18 O 0.000 0.000 0.734
19 O 0.000 0.500 0.252
20 O 0.000 0.500 0.748
21 O 0.002 0.749 0.500
22 O 0.010 0.752 0.179
23 O 0.010 0.752 0.821
24 O 0.238 0.094 0.000
25 O 0.262 0.594 0.000
26 O 0.490 0.252 0.179
27 O 0.490 0.252 0.821
28 O 0.498 0.249 0.500
29 O 0.500 0.000 0.252
30 O 0.500 0.000 0.748
31 O 0.500 0.500 0.266
32 O 0.500 0.500 0.734
33 O 0.502 0.751 0.500
34 O 0.510 0.748 0.179
35 O 0.510 0.748 0.821
36 O 0.738 0.406 0.000
37 O 0.762 0.906 0.000
38 O 0.990 0.248 0.179
39 O 0.990 0.248 0.821
40 O 0.998 0.251 0.500



Record 2
The following is a GGA-PBE calculation of crystalline HfPbO3 at its relaxed geometry, from Materials Project.

Values from the calculation:
- Volume: 572.8 Å³ per cell
- Energy of formation from the pure elements: -2.99 eV/atom
- Crystal system: orthorhombic

Cell: 5.897 11.785 8.242 Å, 90.00 90.00 90.00°
Atoms (fractional coordinates):
1 Hf 0.243 0.124 0.250
2 Hf 0.243 0.124 0.750
3 Hf 0.257 0.624 0.250
4 Hf 0.257 0.624 0.750
└──

Wanted:
Next, write out everything further above unchanged.

Done:
Below is crystalline LaAs2Rh2 at its relaxed geometry, with properties calculated at the PBE level.

Lattice parameters (Å, degrees): 4.332 4.332 10.090 90.00 90.00 90.00
Element x y z (fractional)
1 Rh 0.500 0.500 0.000
2 Rh 0.500 0.000 0.380
3 Rh 0.000 0.000 0.000
4 Rh 0.000 0.500 0.620
5 La 0.000 0.500 0.254
6 La 0.500 0.000 0.746
7 As 0.000 0.500 0.863
8 As 0.500 0.500 0.500
9 As 0.500 0.000 0.137
10 As 0.000 0.000 0.500


Below is crystalline La2UAs3 at its relaxed geometry, with properties calculated at the PBE level.

Lattice parameters (Å, degrees): 7.439 7.439 7.439 146.73 131.98 59.67
Element x y z (fractional)
1 As 0.155 0.655 0.500
2 As 0.500 0.000 0.500
3 As 0.845 0.345 0.500
4 U 0.000 0.000 0.000
5 La 0.332 0.332 0.000
6 La 0.668 0.668 0.000

Properties
Size of the total moment   2.61 μB per formula unit


Below is crystalline La2ZnAs4 at its relaxed geometry, with properties calculated at the PBE level.

Lattice parameters (Å, degrees): 10.811 10.811 10.811 158.52 158.52 30.56
Element x y z (fractional)
1 Zn 0.250 0.750 0.500
2 As 0.499 0.999 0.500
3 As 0.324 0.324 0.000
4 As 0.001 0.501 0.500
5 As 0.676 0.676 0.000
6 La 0.879 0.879 0.000
7 La 0.121 0.121 0.000

Properties
Size of the total moment   0.00 μB per formula unit


Below is crystalline LaZn3As3 at its relaxed geometry, with properties calculated at the PBE level.

Lattice parameters (Å, degrees): 4.149 11.535 12.714 90.00 90.00 90.00
Element x y z (fractional)
1 As 0.750 0.240 0.152
2 As 0.250 0.384 0.921
3 As 0.250 0.740 0.348
4 As 0.250 0.567 0.640
5 As 0.250 0.933 0.140
6 As 0.250 0.116 0.421
7 As 0.750 0.884 0.579
8 As 0.250 0.760 0.848
9 As 0.750 0.067 0.860
10 As 0.750 0.616 0.079
11 As 0.750 0.433 0.360
12 As 0.750 0.260 0.652
13 Zn 0.250 0.344 0.728
14 Zn 0.250 0.156 0.228
15 Zn 0.750 0.265 0.954
16 Zn 0.250 0.765 0.546
17 Zn 0.250 0.962 0.935
18 Zn 0.750 0.656 0.272
19 Zn 0.250 0.735 0.046
20 Zn 0.750 0.235 0.454
21 Zn 0.250 0.538 0.435
22 Zn 0.750 0.462 0.565
23 Zn 0.750 0.844 0.772
24 Zn 0.750 0.038 0.065
25 La 0.250 0.446 0.165
26 La 0.750 0.946 0.335
27 La 0.750 0.554 0.835
28 La 0.250 0.054 0.665


Number 1: energy -6.7753 eV/atom. Number 2: energy -7.1186 eV/atom. Number 3: energy -5.1789 eV/atom. Number 4: energy -3.8270 eV/atom.

~~~~~

Record 1
The following is a GGA-PBE calculation of crystalline HfPbO3 at its relaxed geometry, from Materials Project.

Values from the calculation:
- Volume: 615.1 Å³ per cell
- Energy of formation from the pure elements: -2.72 eV/atom
- Crystal system: orthorhombic

Cell: 5.820 11.475 9.210 Å, 90.00 90.00 90.00°
Atoms (fractional coordinates):
1 Hf 0.246 0.123 0.217
2 Hf 0.246 0.123 0.783
3 Hf 0.254 0.623 0.217
4 Hf 0.254 0.623 0.783
5 Hf 0.746 0.377 0.217
6 Hf 0.746 0.377 0.783
7 Hf 0.754 0.877 0.217
8 Hf 0.754 0.877 0.783
9 Pb 0.243 0.364 0.000
10 Pb 0.250 0.391 0.500
11 Pb 0.250 0.891 0.500
12 Pb 0.257 0.864 0.000
13 Pb 0.743 0.136 0.000
14 Pb 0.750 0.109 0.500
15 Pb 0.750 0.609 0.500
16 Pb 0.757 0.636 0.000
17 O 0.000 0.000 0.266
18 O 0.000 0.000 0.734
19 O 0.000 0.500 0.252
20 O 0.000 0.500 0.748
21 O 0.002 0.749 0.500
22 O 0.010 0.752 0.179
23 O 0.010 0.752 0.821
24 O 0.238 0.094 0.000
25 O 0.262 0.594 0.000
26 O 0.490 0.252 0.179
27 O 0.490 0.252 0.821
28 O 0.498 0.249 0.500
29 O 0.500 0.000 0.252
30 O 0.500 0.000 0.748
31 O 0.500 0.500 0.266
32 O 0.500 0.500 0.734
33 O 0.502 0.751 0.500
34 O 0.510 0.748 0.179
35 O 0.510 0.748 0.821
36 O 0.738 0.406 0.000
37 O 0.762 0.906 0.000
38 O 0.990 0.248 0.179
39 O 0.990 0.248 0.821
40 O 0.998 0.251 0.500



Record 2
The following is a GGA-PBE calculation of crystalline HfPbO3 at its relaxed geometry, from Materials Project.

Values from the calculation:
- Volume: 572.8 Å³ per cell
- Energy of formation from the pure elements: -2.99 eV/atom
- Crystal system: orthorhombic

Cell: 5.897 11.785 8.242 Å, 90.00 90.00 90.00°
Atoms (fractional coordinates):
1 Hf 0.243 0.124 0.250
2 Hf 0.243 0.124 0.750
3 Hf 0.257 0.624 0.250
4 Hf 0.257 0.624 0.750